IB Psych 10/07/16 Today’s Agenda: Wedekind (1995) Turn in: Nothing Take out : Planner Writing Implement Notes Your Notes from your Reading… Today’s Learning Objectives: BLOA: 2. Explain how principles that define the biological level of analysis may be demonstrated in research. 3. Discuss how and why particular research methods are used at the biological level of analysis. 7. Explain functions of two hormones in human behavior. 11. To what extent do biological factors influence human relationships? Today’s Agenda: Wedekind (1995) Bailey & Pillard (1991) HW: CRA 2.5-2.9 Chart these two studies
Connection to Evolution? What traits are desirable in a potential mate??? Psychologists also argue that behaviors may be the result of sexual selection - that is, animals evolve features whose function is not to help individuals survive, but help them to maximize their reproductive success. This can be realized either by making themselves attractive to the opposite sex, or by intimidating same-sex rivals. Darwin argued that human attraction is the result of sexual selection and not of natural selection. -Facial symmetry -Skin complexion -Quality of teeth -Eye clarity -Body smell -Voice pitch -Height -Facial hair or other secondary sexual characteristics.
Which BLOA Learning outcomes can we use this study to answer??? Wedekind (1995) Which BLOA Learning outcomes can we use this study to answer??? https://youtu.be/pEmX8Rim-hs
Q: Have you ever had wisdom teeth? Genetic Traits Q: Have you ever had wisdom teeth? Approximately 35% of humans are currently born with no wisdom teeth. Others may have 3, 2, or 1… But why? If evolution is eliminating these potentially useless traits, then why might we continue to see other traits that potentially complicate the perpetuation of the species?
**Calculated crystals from another source follow**
'''
## Cu4P2O9 (r2SCAN)

Data for a relaxed Cu4P2O9 crystal.

Raw total energy = -0.3396 Ha/atom
Space group = P-1 (2)
Magnetic moment = 4.00 μB/f.u.
V = 11.22 Å³ per atom
ΔH_f (0 K) = -1.56 eV per atom

Cell: 6.2625 7.5337 8.0100 Å, 99.32 112.26 97.99°
Fractional coordinates of all 30 atoms:
Cu 0.0922 0.3749 0.2369
Cu 0.1559 0.8846 0.5891
Cu 0.3459 0.8295 0.0632
Cu 0.3843 0.6048 0.7576
Cu 0.6157 0.3952 0.2424
Cu 0.6541 0.1705 0.9368
Cu 0.8441 0.1154 0.4109
Cu 0.9078 0.6251 0.7631
P 0.1288 0.2360 0.8491
P 0.4996 0.2841 0.5790
P 0.5004 0.7159 0.4210
P 0.8712 0.7640 0.1509
O 0.0129 0.0840 0.6661
O 0.0227 0.7736 0.0386
O 0.1546 0.4275 0.8088
O 0.1997 0.7727 0.7961
O 0.2488 0.2964 0.4649
O 0.3505 0.7202 0.5355
O 0.3682 0.1996 0.9723
O 0.3822 0.5338 0.2608
O 0.4964 0.8782 0.3285
O 0.5036 0.1218 0.6715
O 0.6178 0.4662 0.7392
O 0.6318 0.8004 0.0277
O 0.6495 0.2798 0.4645
O 0.7512 0.7036 0.5351
O 0.8003 0.2273 0.2039
O 0.8454 0.5725 0.1912
O 0.9773 0.2264 0.9614
O 0.9871 0.9160 0.3339

## Cu5P2O10 (r2SCAN)

Data for a relaxed Cu5P2O10 crystal.

Raw total energy = -0.3396 Ha/atom
Space group = P-1 (2)
Magnetic moment = 1.00 μB/f.u.
V = 11.32 Å³ per atom
ΔH_f (0 K) = -1.48 eV per atom

Cell: 5.2194 5.2482 7.6159 Å, 82.83 89.97 68.55°
Fractional coordinates of all 17 atoms:
Cu 0.0000 0.0000 0.0000
Cu 0.1186 0.7522 0.6374
Cu 0.2862 0.3826 0.0549
Cu 0.7138 0.6174 0.9451
Cu 0.8814 0.2478 0.3626
P 0.4527 0.8431 0.2900
P 0.5473 0.1569 0.7100
O 0.0471 0.6824 0.8840
O 0.1914 0.8983 0.3985
O 0.3014 0.3777 0.6107
O 0.3788 0.7521 0.1132
O 0.4888 0.8916 0.7594
O 0.5112 0.1084 0.2406
O 0.6212 0.2479 0.8868
O 0.6986 0.6223 0.3893
O 0.8086 0.1017 0.6015
O 0.9529 0.3176 0.1160

## Cu3P2O8 (r2SCAN)

Data for a relaxed Cu3P2O8 crystal.

Raw total energy = -0.3402 Ha/atom
Space group = P-1 (2)
Magnetic moment = 3.00 μB/f.u.
V = 10.84 Å³ per atom
ΔH_f (0 K) = -1.69 eV per atom

Cell: 4.8429 5.3164 6.1703 Å, 72.57 87.14 68.74°
Fractional coordinates of all 13 atoms:
Cu 0.0000 0.0000 0.0000
Cu 0.2719 0.2169 0.3194
Cu 0.7281 0.7831 0.6806
P 0.3593 0.3483 0.7794
P 0.6407 0.6517 0.2206
O 0.1549 0.6457 0.6559
O 0.2285 0.2264 0.0056
O 0.3319 0.6569 0.1695
O 0.3762 0.1441 0.6380
O 0.6238 0.8559 0.3620
O 0.6681 0.3431 0.8305
O 0.7715 0.7736 0.9944
O 0.8451 0.3543 0.3441

## Cu2PO5 (r2SCAN)

Data for a relaxed Cu2PO5 crystal.

Raw total energy = -0.3311 Ha/atom
Space group = Pnnm (58)
Magnetic moment = 0.52 μB/f.u.
V = 11.92 Å³ per atom
ΔH_f (0 K) = -1.44 eV per atom

Cell: 7.9647 8.4304 5.6810 Å, 90.00 90.00 90.00°
Fractional coordinates of all 32 atoms:
Cu 0.0000 0.0000 0.2478
Cu 0.0000 0.0000 0.7522
Cu 0.1496 0.3849 0.5000
Cu 0.3504 0.8849 0.0000
Cu 0.5000 0.5000 0.2522
Cu 0.5000 0.5000 0.7478
Cu 0.6496 0.1151 0.0000
Cu 0.8504 0.6151 0.5000
P 0.2301 0.7522 0.5000
P 0.2699 0.2522 0.0000
P 0.7301 0.7478 0.0000
P 0.7699 0.2478 0.5000
O 0.0963 0.6178 0.5000
O 0.1233 0.9206 0.0000
O 0.1335 0.9147 0.5000
O 0.1640 0.2420 0.2218
O 0.1640 0.2420 0.7782
O 0.3360 0.7420 0.2782
'''
**Here the page continues**
Q: Is sexual identity genetic? Bailey & Pillard (1991) Q: Is sexual identity genetic? Q: If it is genetic, how is it being passed on from one generation to another? Yeah, I know…but think about it… Q: Is there a difference between male and female sexual identity, desire, urges, etc.?
### What comes next are calculated crystals, not part of the page
- - -
A plane-wave DFT calculation with GGA-PBE was carried out for Na3AsH14SO10 after structural relaxation.

Properties
Crystal system   monoclinic
Final energy   -4.92 eV/atom
Maximum piezoelectric response   0.770 C/m2

Geometry as CIF:
```
data_Na3AsH14SO10
_cell_length_a 12.742
_cell_length_b 6.775
_cell_length_c 7.106
_cell_angle_alpha 85.87
_cell_angle_beta 90.00
_cell_angle_gamma 90.00
_symmetry_space_group_name_H-M 'P 1'
_symmetry_Int_Tables_number 1
loop_
_symmetry_equiv_pos_as_xyz
'x,y,z'
loop_
_atom_site_label
_atom_site_type_symbol
_atom_site_fract_x
_atom_site_fract_y
_atom_site_fract_z
O1 O 0.625 0.628 0.004
O2 O 0.446 0.893 0.698
O3 O 0.895 0.706 0.061
O4 O 0.309 0.259 0.467
O5 O 0.415 0.021 0.233
O6 O 0.946 0.107 0.302
O7 O 0.420 0.679 0.027
O8 O 0.125 0.372 0.996
O9 O 0.809 0.741 0.533
O10 O 0.859 0.346 0.594
O11 O 0.359 0.654 0.406
O12 O 0.041 0.476 0.481
O13 O 0.105 0.999 0.625
O14 O 0.605 0.001 0.375
O15 O 0.745 0.386 0.288
O16 O 0.920 0.321 0.973
O17 O 0.915 0.979 0.767
O18 O 0.245 0.614 0.712
O19 O 0.395 0.294 0.939
O20 O 0.541 0.524 0.519
As1 As 0.351 0.800 0.193
As2 As 0.851 0.200 0.807
H1 H 0.144 0.510 0.014
H2 H 0.426 0.811 0.816
H3 H 0.346 0.172 0.380
H4 H 0.830 0.602 0.573
H5 H 0.472 0.580 0.463
H6 H 0.894 0.568 0.021
H7 H 0.589 0.527 0.412
H8 H 0.277 0.645 0.584
H9 H 0.533 0.007 0.312
H10 H 0.033 0.993 0.688
H11 H 0.404 0.200 0.054
H12 H 0.547 0.637 0.019
H13 H 0.394 0.432 0.979
H14 H 0.972 0.420 0.537
H15 H 0.926 0.189 0.184
H16 H 0.089 0.473 0.588
H17 H 0.147 0.895 0.690
H18 H 0.170 0.640 0.697
H19 H 0.330 0.398 0.427
H20 H 0.047 0.363 0.981
H21 H 0.670 0.360 0.303
H22 H 0.647 0.105 0.310
H23 H 0.413 0.829 0.593
H24 H 0.777 0.355 0.416
H25 H 0.913 0.171 0.407
H26 H 0.644 0.490 0.986
H27 H 0.846 0.828 0.620
H28 H 0.904 0.800 0.946
S1 S 0.191 0.861 0.110
S2 S 0.691 0.139 0.890
Na1 Na 0.132 0.203 0.326
Na2 Na 0.239 0.200 0.800
Na3 Na 0.994 0.777 0.323
Na4 Na 0.739 0.800 0.200
Na5 Na 0.494 0.223 0.677
Na6 Na 0.632 0.797 0.674
```

A plane-wave DFT calculation with GGA-PBE was carried out for Eu2Ir2O7 after structural relaxation.

Properties
Crystal system   cubic
Final energy   -8.40 eV/atom

Geometry as CIF:
```
data_Eu2Ir2O7
_cell_length_a 7.401
_cell_length_b 7.401
_cell_length_c 7.401
_cell_angle_alpha 60.00
_cell_angle_beta 60.00
_cell_angle_gamma 60.00
_symmetry_space_group_name_H-M 'P 1'
_symmetry_Int_Tables_number 1
loop_
_symmetry_equiv_pos_as_xyz
'x,y,z'
loop_
_atom_site_label
_atom_site_type_symbol
_atom_site_fract_x
_atom_site_fract_y
_atom_site_fract_z
O1 O 0.453 0.453 0.047
O2 O 0.797 0.203 0.203
O3 O 0.453 0.047 0.453
O4 O 0.500 0.500 0.500
O5 O 0.453 0.047 0.047
O6 O 0.047 0.453 0.453
O7 O 0.047 0.453 0.047
O8 O 0.797 0.203 0.797
O9 O 0.797 0.797 0.203
O10 O 0.047 0.047 0.453
O11 O 0.203 0.797 0.203
O12 O 0.750 0.750 0.750
O13 O 0.203 0.797 0.797
O14 O 0.203 0.203 0.797
Ir1 Ir 0.125 0.125 0.625
Ir2 Ir 0.625 0.125 0.125
Ir3 Ir 0.125 0.125 0.125
Ir4 Ir 0.125 0.625 0.125
Eu1 Eu 0.625 0.625 0.625
- - -
Can we use twin studies to determine an answer to this question? Bailey & Pillard (1991) Q: Is sexual identity genetic? Can we use twin studies to determine an answer to this question?
Bailey & Pillard (1991) What about the animal kingdom??? Do other species exhibit homosexual behaviors? Flour Beetles, Japanese Macaques, Bonobos, Laysan Albatross, Bottle-Nosed Dolphins… “Same-sex coupling is a response to a shortage of males” Now, see humans…(and domestic sheep…)